Hamish Lean: Compensation for game damage central to new reforms

Hamish Lean
Hamish Lean looks the tension between landlords’ sporting rights and agricultural tenants’ farming activities and new legislation aimed at balancing these interests and improving compensation for tenants affected by game-related damages.
Most agricultural leases reserve the sporting rights over the let farm to the landlord. There can be a great deal of friction caused by the competing interests of the landlord’s sporting rights and the agricultural tenant’s farming activities. Sometimes these can be exacerbated if the landlord has let out the sporting to a shooting tenant.
The Tenant Farming Commissioner has published guidance about how the sporting and agricultural interests can be balanced.
A certain amount of inconvenience is inevitable and in many cases relationships are quite harmonious, governed by mutual trust and respect.
However, it has long been a bone of contention on the part of tenants that existing compensation rights and protections in relation to damage caused by game are inadequate when the damage and disturbance goes beyond what might normally be expected and tolerated.
The Land Reform Bill, currently before the Scottish Parliament, includes a number of reforms in relation to agricultural tenancy law. One of the reforms is in relation to compensation for game damage.
The new provisions expand on the tenant’s existing rights to compensation so that the tenant is entitled to be compensated by the landlord where game or game management have caused the tenant to sustain damage to crops, damage to trees grown for agriculture or permitted non-agricultural purposes, damage to fixed equipment, damage to livestock and damage to habitats.
Written notice must be given by the tenant to the landlord in a form to be prescribed as soon as reasonably practicable so that the landlord is allowed a reasonable opportunity to inspect the damage.
No. 1
## CeNiSb (GGA-PBE)

Data for a relaxed CeNiSb crystal.

Properties
Total moment ... 0.15 μB/atom
Theoretical density ... 7.598 Mg/m³
Energy relative to the elements, uncorrected ... -261.2 meV/atom

Lattice parameters (Å, degrees): 4.0091 4.0091 8.7178 90.00 90.00 90.00
Last column: nearest neighbours and their distance in Å.
Space group I4mm (No. 107)
Unique sites:
Ce (0.0000, 0.0000, 0.0000)  5 Sb 3.00-3.14, 5 Ni 3.09-3.11
Ni (0.0000, 0.0000, 0.3547)  1 Sb 2.62
Sb (0.0000, 0.0000, 0.6557)  1 Ni 2.62

No. 2
## CeGdGaIr (GGA-PBE)

Data for a relaxed CeGdGaIr crystal.

Properties
Total moment ... 1.80 μB/atom
Theoretical density ... 10.362 Mg/m³
Calculated formation energy ... -0.566 eV per atom

Lattice parameters (Å, degrees): 7.1041 7.1041 7.1041 90.00 90.00 90.00
Last column: nearest neighbours and their distance in Å.
Space group F-43m (No. 216)
Unique sites:
Ce (0.0000, 0.0000, 0.0000)  4 Ir 3.08, 4 Ga 3.08
Gd (0.0000, 0.0000, 0.5000)  4 Ir 3.08, 4 Ga 3.08
Ga (0.2500, 0.2500, 0.7500)  4 Gd 3.08, 4 Ce 3.08
Ir (0.2500, 0.2500, 0.2500)  4 Gd 3.08, 4 Ce 3.08

No. 3
## NdTi3O8 (GGA-PBE)

Data for a relaxed NdTi3O8 crystal.

Properties
Total moment ... 0.08 μB/atom
Theoretical density ... 3.813 Mg/m³
Energy relative to the elements, uncorrected ... -2782.5 meV/atom

Lattice parameters (Å, degrees): 5.7079 5.7079 6.4188 90.00 90.00 120.00
Last column: nearest neighbours and their distance in Å.
Space group P-3m1 (No. 164)
Unique sites:
Nd (0.0000, 0.0000, 0.0000)  6 O 2.47
Ti (0.0000, 0.0000, 0.5000)  6 O 1.96
Ti (0.3333, 0.6667, 0.7680)  4 O 1.75-1.85
O (0.1524, 0.3048, 0.6942)  2 Ti 1.85-1.96
O (0.3333, 0.6667, 0.0405)  1 Ti 1.75

----------

(1)
Computed, not measured: an optimized crystal structure of SnHgTe2 at the PBEsol level of DFT.

## Properties
Its uncorrected formation energy is 0.14 eV per atom. Its magnetization is 0.0 μB per cell. The calculation puts the density of states at the Fermi level at 0.8117 states/eV per atom. Its total energy is -33.920 eV per cell.

Lattice parameters (Å, degrees): 3.2447 3.2447 36.1686 90.00 90.00 120.00
Space group R-3m (No. 166, hexagonal axes)
Unique sites:
Sn 0.0000 0.0000 0.0000 x3
Hg 0.0000 0.0000 0.5000 x3
Te 0.0000 0.0000 0.2527 x6

---

(2)
Computed, not measured: an optimized crystal structure of ZrSnHg2Te at the PBEsol level of DFT.

## Properties
Its uncorrected formation energy is 0.98 eV per atom. Its magnetization is 1.4 μB per cell. The calculation puts the density of states at the Fermi level at 1.1703 states/eV per atom. Its total energy is -13.112 eV per cell.

Lattice parameters (Å, degrees): 5.306 5.306 5.791 90.00 90.00 90.00
Space group P4/mmm (No. 123)
Unique sites:
Zr 0.000 0.000 0.000 x1
Sn 0.500 0.500 0.000 x1
Hg 0.000 0.500 0.500 x2
Te 0.500 0.500 0.500 x1

---

(3)
Computed, not measured: an optimized crystal structure of Sn3HgW at the PBEsol level of DFT.

## Properties
== Back to the article ==
This will not apply when livestock have had to be destroyed to prevent suffering or injury or spread of disease.
The new rules also provide that where the right to kill game is held by some person other than the landlord, for example, a sporting tenant, a landlord is entitled to be indemnified by that other person against claims for compensation.
There is no limit on the amount of compensation that might be claimed but a tenant will have to be able to demonstrate actual loss suffered and that the amount of the claim is reasonable.
Ultimately if there is no agreement on the value of the claim, the amount of compensation is to be determined by the Land Court.
The new rules apply to “game management” so that the conduct of shoots, for example, scaring livestock unnecessarily, will be something which might generate a compensation claim, as might laying down thousands of pheasant poults in woodland adjacent to arable land where that leads directly to loss of crop.
These new rules will be welcomed by agricultural tenants suffering disproportionately from the unreasonable exercise of sporting rights.
Hamish Lean is a partner at Shepherd and Wedderburn. This article first appeared in The Press and Journal.